In lieu of an abstract, here is a brief excerpt of the content:

### The page is interrupted by crystal structures
'''
Density functional theory data (PBE-GGA) for crystalline Na9Ca4Nb2P9O36 at its relaxed geometry.

a b c (Å): 9.288 22.553 24.477
angles (deg): 89.92 79.15 89.93
Space group P1 (No. 1)
Unique sites:
Na 0.000 0.000 0.000
Na 0.002 0.928 0.351
Na 0.016 0.585 0.329
Na 0.016 0.754 0.677
Na 0.089 0.575 0.126
Na 0.093 0.269 0.128
Na 0.094 0.333 0.790
Na 0.100 0.757 0.460
Na 0.104 0.828 0.793
Na 0.118 0.916 0.107
Na 0.189 0.095 0.241
Na 0.204 0.183 0.555
Na 0.208 0.254 0.890
Na 0.214 0.743 0.220
Na 0.219 0.437 0.222
Na 0.231 0.677 0.566
Na 0.291 0.256 0.673
Na 0.291 0.427 0.019
Na 0.305 0.084 0.997
Na 0.307 0.012 0.348
Na 0.317 0.518 0.350
Na 0.417 0.746 0.784
Na 0.439 0.345 0.120
Na 0.449 0.831 0.112
Na 0.464 0.918 0.439
Na 0.477 0.087 0.789
Na 0.493 0.917 0.233
Na 0.515 0.666 0.900
Na 0.523 0.763 0.567
Na 0.541 0.096 0.577
Na 0.541 0.594 0.239
Na 0.553 0.172 0.902
Na 0.578 0.424 0.559
Na 0.630 0.094 0.328
Na 0.635 0.503 0.679
Na 0.647 0.430 0.348
Na 0.652 0.006 0.675
Na 0.659 0.581 0.000
Na 0.676 0.918 0.020
Na 0.728 0.586 0.788
Na 0.754 0.841 0.446
Na 0.766 0.418 0.109
Na 0.766 0.915 0.772
Na 0.784 0.248 0.783
Na 0.790 0.344 0.447
Na 0.814 0.095 0.115
Na 0.830 0.926 0.560
Na 0.842 0.094 0.909
Na 0.858 0.181 0.236
Na 0.865 0.594 0.579
Na 0.868 0.666 0.227
Na 0.889 0.265 0.565
Na 0.969 0.409 0.683
Na 0.991 0.493 0.998
Ca 0.098 0.685 0.783
Ca 0.101 0.186 0.780
Ca 0.204 0.826 0.568
Ca 0.212 0.324 0.563
Ca 0.310 0.159 0.344
Ca 0.319 0.850 0.348
Ca 0.329 0.663 0.339
Ca 0.431 0.983 0.119
Ca 0.434 0.495 0.113
Ca 0.438 0.690 0.118
Ca 0.538 0.021 0.901
Ca 0.539 0.520 0.897
Ca 0.635 0.654 0.679
Ca 0.637 0.858 0.669
Ca 0.654 0.357 0.673
Ca 0.668 0.154 0.681
Ca 0.768 0.991 0.447
Ca 0.771 0.490 0.449
Ca 0.869 0.321 0.230
Ca 0.873 0.516 0.235
Ca 0.875 0.028 0.230
Ca 0.978 0.349 0.010
Ca 0.987 0.162 0.000
Ca 0.997 0.852 0.004
Nb 0.097 0.986 0.787
Nb 0.106 0.490 0.793
Nb 0.208 0.523 0.557
Nb 0.210 0.026 0.561
Nb 0.314 0.350 0.343
Nb 0.438 0.190 0.121
Nb 0.539 0.822 0.898
Nb 0.553 0.328 0.895
Nb 0.753 0.685 0.452
Nb 0.767 0.190 0.451
Nb 0.869 0.822 0.227
Nb 0.993 0.662 0.006
P 0.000 0.583 0.686
P 0.000 0.756 0.342
P 0.008 0.928 0.663
P 0.061 0.592 0.455
P 0.078 0.760 0.111
P 0.080 0.422 0.125
P 0.103 0.252 0.441
P 0.113 0.923 0.464
P 0.139 0.093 0.117
P 0.168 0.919 0.231
P 0.193 0.089 0.885
P 0.203 0.759 0.907
P 0.227 0.590 0.224
P 0.229 0.251 0.238
P 0.247 0.420 0.894
P 0.298 0.084 0.685
P 0.305 0.428 0.662
P 0.308 0.256 0.006
P 0.320 0.591 0.016
P 0.337 0.756 0.675
P 0.349 0.922 0.999
P 0.403 0.590 0.785
P 0.406 0.422 0.460
P 0.427 0.759 0.448
P 0.431 0.923 0.800
P 0.451 0.254 0.779
P 0.467 0.085 0.455
P 0.509 0.925 0.561
P 0.525 0.760 0.236
P 0.527 0.086 0.218
P 0.555 0.584 0.551
P 0.556 0.250 0.573
P 0.559 0.423 0.234
P 0.616 0.250 0.346
P 0.629 0.088 0.021
P 0.639 0.426 0.999
P 0.668 0.586 0.349
P 0.677 0.923 0.327
P 0.691 0.761 0.002
P 0.748 0.588 0.114
P 0.752 0.762 0.776
P 0.758 0.428 0.797
P 0.780 0.925 0.130
P 0.782 0.251 0.112
P 0.798 0.086 0.787
'''

  • Teaching the Canon
  • David Palumbo-Liu (bio), Dr. Paulo Lemos Horta (bio), Yaffa Fredrick, and Caroline Soussloff

[These data records were left in the piece by mistake]
- - -
A relaxed structure of Ba3Tb2WO9. Source: the Materials Project database, functional PBE with a Hubbard U.

Computed properties:
**Crystal system**: triclinic
**ρ**: 7.22 g/cm³
**Space group**: P-1, No. 2
**Corrected total energy (MP2020 scheme)**: -8.09 eV per atom
**ΔE_f**: -3.260 eV/atom

abc: 6.118 10.592 8.667
angles: 65.77 89.72 106.51
Element x y z (fractional)
W  0.996  0.498  0.502
W  0.670  0.836  0.831
O  0.298  0.193  0.407
O  0.860  0.707  0.919
O  0.957  0.003  0.748
O  0.021  0.963  0.269
O  0.123  0.321  0.053
O  0.681  0.811  0.618
O  0.807  0.626  0.414
O  0.709  0.331  0.585
O  0.494  0.974  0.734
O  0.544  0.012  0.280
O  0.648  0.846  0.054
O  0.369  0.140  0.926
O  0.019  0.487  0.279
O  0.646  0.370  0.064
O  0.173  0.359  0.599
O  0.986  0.523  0.716
O  0.382  0.671  0.919
O  0.284  0.663  0.415
Ba  0.172  0.841  0.084
Ba  0.492  0.494  0.762
Ba  0.822  0.167  0.922
Ba  0.175  0.840  0.572
Ba  0.845  0.167  0.411
Ba  0.495  0.492  0.250
Tb  0.333  0.167  0.167
Tb  0.666  0.829  0.336
Tb  0.000  0.505  0.998
Tb  0.333  0.167  0.667
- - -
[End of the data records]

The debate over the emerging Global Canon falls within the scope of the academy, comprised of individuals who play a critical role in determining the leading works of art and literature. We engaged two professors in a discussion of the ever shifting, and increasingly global nature of literature curricula in their college classrooms. We questioned them about the specific goals of their literature classes, what role non-western writers played in class discussions, and how the diverse backgrounds of their students influenced the classroom dynamic. We began the conversation, in the form of an e-mail exchange, moderated by World Policy Journal editors, with a simple question: What goals do you have as professors of world literature, with respect to your students' curricula and their lives beyond the classroom?


First, to present literature in its historical context, regionally, nationally and globally, to show the connection between the particular "local" situation of the work of literature, its relation to broader contexts and even the notion of "universal" values. Often this is dialectical—by discussing the particular and the universal, we find our senses of both modified. Second, to present literature as literature; that is, as a specific way of putting language together that is unique to literature. This is done with due respect to the fact that different cultures have alternative discourses, which approximate what western society understands literature to be. I attempt to raise the question regarding the kinds of social and cultural functions literature performs, and how these functions are manifested elsewhere. My hope is that if I meet these objectives, they will have a kind of ethical effect—that [my students'] assumptions about the world, of how "other people" act, about other values, ways of thinking, would be different. [End Page 11]


I agree with David. There is an ethical component to the study of literature and foreign literature in particular, a thinking through of assumptions pertaining to others and other cultures. Historically, in the postwar United States, comparative literature has been concerned with the task of fashioning world citizens. I think we must ask critically what it might mean to be a citizen of many cultures, and of the world. In my freshman seminars on literature, we read seminal texts by philosophers and political theorists on cosmopolitanism and multiculturalism.

What comes next are records of crystals, not part of the article =
********
No. 1
! CoMoO3, optimized geometry, DFT GGA+U; values from VASP
! Raw total energy, eV/atom: -6.232
! Formation enthalpy at 0 K, meV/atom: -1053
! Space-group type: Pm-3m
! Total magnetic moment, μB/f.u.: 4.32
! E (MP2020), eV per formula unit: -38.1
&SYSTEM
  ibrav = 0, nat = 5, ntyp = 3
/
ATOMIC_SPECIES
Co 58.93 Co.upf
Mo 95.94 Mo.upf
O 16.00 O.upf
ATOMIC_POSITIONS crystal
Co 0.0000 0.0000 0.0000
Mo 0.5000 0.5000 0.5000
O 0.0000 0.5000 0.5000
O 0.5000 0.0000 0.5000
O 0.5000 0.5000 0.0000
CELL_PARAMETERS angstrom
3.9836 0.0000 0.0000
0.0000 3.9836 0.0000
0.0000 0.0000 3.9836

No. 2
! CoMo4O15, optimized geometry, DFT GGA+U; values from VASP
! Raw total energy, eV/atom: -6.517
! Formation enthalpy at 0 K, meV/atom: -1519
! Space-group type: P-1
! Total magnetic moment, μB/f.u.: 7.00
! E (MP2020), eV per formula unit: -155.1
&SYSTEM
  ibrav = 0, nat = 20, ntyp = 3
/
ATOMIC_SPECIES
Co 58.93 Co.upf
Mo 95.94 Mo.upf
O 16.00 O.upf
ATOMIC_POSITIONS crystal
Co 0.0000 0.0000 0.0000
Mo 0.1278 0.6580 0.6091
Mo 0.4473 0.6928 0.1819
Mo 0.5527 0.3072 0.8181
Mo 0.8722 0.3420 0.3909
O 0.0439 0.8295 0.7861
O 0.1299 0.1785 0.4928
O 0.1549 0.5051 0.3526
O 0.2169 0.8225 0.1042
O 0.2974 0.1637 0.8907
O 0.3302 0.5022 0.6971
O 0.3584 0.7903 0.4317
O 0.5000 0.5000 0.0000
O 0.6416 0.2097 0.5683
O 0.6698 0.4978 0.3029
O 0.7026 0.8363 0.1093
O 0.7831 0.1775 0.8958
O 0.8451 0.4949 0.6474
O 0.8701 0.8215 0.5072
O 0.9561 0.1705 0.2139
CELL_PARAMETERS angstrom
5.6162 0.0000 0.0000
0.1578 7.0398 0.0000
1.7464 0.0212 7.4257

No. 3
! Co2Mo3O8, optimized geometry, DFT GGA+U; values from VASP
! Raw total energy, eV/atom: -6.887
! Formation enthalpy at 0 K, meV/atom: -1660
! Space-group type: P6_3mc
! Total magnetic moment, μB/f.u.: 6.00
! E (MP2020), eV per formula unit: -107.9
&SYSTEM
  ibrav = 0, nat = 26, ntyp = 3
/
ATOMIC_SPECIES
Co 58.93 Co.upf
Mo 95.94 Mo.upf
O 16.00 O.upf
ATOMIC_POSITIONS crystal
Co 0.3333 0.6667 0.0000
Co 0.3333 0.6667 0.4313
Co 0.6667 0.3333 0.5000
Co 0.6667 0.3333 0.9313
Mo 0.1460 0.2920 0.7335
Mo 0.1460 0.8540 0.7335
Mo 0.2920 0.1460 0.2335
Mo 0.7080 0.8540 0.7335
Mo 0.8540 0.1460 0.2335
Mo 0.8540 0.7080 0.2335
O 0.0000 0.0000 0.3767
O 0.0000 0.0000 0.8767
O 0.0243 0.5122 0.8494
O 0.1680 0.3361 0.1167
O 0.1680 0.8320 0.1167
O 0.3333 0.6667 0.6282
O 0.3361 0.1680 0.6167
O 0.4878 0.5122 0.8494
O 0.4878 0.9757 0.8494
O 0.5122 0.0243 0.3494
O 0.5122 0.4878 0.3494
O 0.6639 0.8320 0.1167
O 0.6667 0.3333 0.1282
O 0.8320 0.1680 0.6167
O 0.8320 0.6639 0.6167
O 0.9757 0.4878 0.3494
CELL_PARAMETERS angstrom
5.8714 0.0000 0.0000
-2.9357 5.0847 0.0000
0.0000 0.0000 10.0209

No. 4
! CoMo6O34, optimized geometry, DFT GGA+U; values from VASP
! Raw total energy, eV/atom: -5.975
! Formation enthalpy at 0 K, meV/atom: -754
! Space-group type: P2_1/c
! Total magnetic moment, μB/f.u.: 7.17
! E (MP2020), eV per formula unit: -271.3
&SYSTEM
  ibrav = 0, nat = 82, ntyp = 3
/
ATOMIC_SPECIES
Co 58.93 Co.upf
Mo 95.94 Mo.upf
O 16.00 O.upf
ATOMIC_POSITIONS crystal
********

In this context, my work is born of the conviction that curricula must play catch up to the cross-cultural make-up and curiosity of students, and the cities they inhabit. The cities where I have taught—Vancouver and now Abu Dhabi—have a higher percentage of foreign-born residents than New York or Los Angeles. I believe university curricula must do justice to these cities as sites of cross-cultural exchange. The students are Eastern Europeans interested in Latin American or Asian culture, or Latin Americans interested in the Middle East. In many instances, students are already the product of two or more formative cultures. The goal of my literature curriculum is to foster, channel and discipline the cross-cultural curiosity students already display in their everyday lives—consuming manga, music and Bollywood.


I very much like Paulo's point about the shifting identities of college-age students. They certainly are very diverse, and show the effects of global mobility of ideas and people. That said, I think it is also important to note that their diversity is brought about in different ways. There are those of the elite class, and then those who are the first members of their families to attend college. I try to engage all students in puzzling out this situation and use literature as one way to tap into issues of history, culture, and identity. The Canon has always been used to fortify some sense of national cultural identity. Now, with a slowly broadening Global Canon, new senses of exactly what Paulo says about world citizenship are coming about, and this has an effect on our re-assessing national and cultural identities.

My teaching has actually changed because of ideas that have come from international students with mixed backgrounds. Two...

